Written by Brad Dixon

Once we all understand that we have a connection with each other, the natural world, and share a calling to care for our planet, maybe we can start to come together with collaborative conversation rather than throwing barbs and rocks from our entrenched glasshouses.

Over the last 150 years, we have deforested almost 50% of all trees on the planet to make way for crops and grazing for livestock. This has contributed to the degradation of 50% of the world’s topsoil. Healthy soil is the living ecosystem (over 9 billion microorganisms per teaspoon of soil) that literally sustains us. Soil is a non-renewable resource on which 95% of the earth’s food supply depends. Healthy soil is integral for biodiversity and food security. Soil also plays a vital role in mitigating the effects of climate change. If we continue to farm the way we have been for the last 60 years, then we will only have approximately 60 more arable growing seasons left on planet earth – if the soil goes, we go.

Sustainable regenerative methods of farming are better than conventional methods. These are proven methods to provide better nutrient-dense food, sequester carbon, and rebuild the planet’s faltering biodiversity. Regenerative farming biologically mimics the planet’s ecosystem and is far less harmful than industrial monoculture (crop, plant, or livestock) – these intensive methods are set up to create high volume, cheap food with little regard to the nutrient density of the product and the overall health of the soil.

After World War 2, there was a surplus of petroleum which triggered an onslaught of pesticide and herbicide production and the myth that we needed these products to grow food. This may be true for mass mono-crops that require huge inputs at the expense of making use of the natural world to do it’s intended job. But when you have excessive “extracting” with farming methods, then the system robs the soil of its regenerative potential – literally slowly killing the golden goose that provides the gold.

Animals can be used with regenerative methods with far less intensiveness and more sensitivity than what we currently see. Although the animals in these farming systems will have improved quality of life (compared to intensified factory farming methods), I personally choose not to participate in this process for the purpose of food as it’s not necessary in most parts of the world. However, nothing is black and white, so I don’t judge anyone that still eats animals, or farms animals. If you do choose to eat animals, then consider making a choice that supports more regenerative, caring, bio-diverse farming methods. We all need to work together to produce food in ways that improve our holistic wellness, which includes the health of the planet, and the ability of the soil and ocean to thrive rather than steadily degrade.

No one is totally divorced from causing harm. Even a complete vegan diet still creates harm.  Conventional farming with the mono-cropping of fruit, vegetables, and grains still contributes to the harm of animals (rodents and insects will get killed with harvesting), and can still contribute to soil depletion and pollution of the water table with chemical pesticides. Just because there is harm involved doesn’t mean we shouldn’t strive to create the least harm possible.

~~~
No. 1
# C17H36NO7

3 unconnected molecules or ions with the total composition C17H36NO7 (wB97M-V/def2-TZVPD, the Open Molecules 2025 dataset).

* E_LUMO: 2.48 eV
* net charge: -1
* energy relative to the best compared isomer or geometry (same formula, charge and spin): 0.0000 eV
* gap between HOMO and LUMO: 4.4 eV
* E_tot: -1250.67886 Eh
* HOMO: -1.876 eV

Cartesian coordinates (Å):
1 C 0.8263 2.0513 0.5877
2 C -0.5494 1.8630 -0.0359
3 O -0.7525 0.6074 -0.6552
4 C 0.0259 0.4423 -1.8298
5 C -0.4352 -0.7931 -2.5951
6 O 0.3511 -1.9282 -2.3677
7 C 0.1688 -2.5252 -1.0955
8 C 1.5288 -2.7865 -0.4263
9 O 2.4244 -1.7560 -0.6947
10 C 2.6230 -0.8315 0.4728
11 C 3.4492 0.3534 0.2192
12 C 4.8567 0.0588 -0.2938
13 N 5.4492 1.1586 -1.0853
14 H 1.6426 2.0033 -0.1387
15 H 0.8558 3.0464 1.0475
16 H 1.0114 1.3193 1.3771
17 H -1.3165 1.9433 0.7417
18 H -0.7410 2.6630 -0.7759
19 H -0.1097 1.3270 -2.4763
20 H 1.0945 0.3299 -1.5984
21 H -1.5049 -0.9733 -2.3821
22 H -0.3462 -0.5897 -3.6691
23 H -0.3830 -3.4714 -1.2266
24 H -0.4277 -1.8780 -0.4405
25 H 1.3374 -2.8366 0.6611
26 H 1.9380 -3.7567 -0.7466
27 H 1.6084 -0.5259 0.7884
28 H 3.0351 -1.4769 1.2728
29 H 2.9358 1.0200 -0.5013
30 H 4.9104 -0.8498 -0.9205
31 H 5.5503 -0.1192 0.5459
32 H 4.7222 1.4779 -1.7217
33 H 5.5921 1.9424 -0.4541
34 O -0.5982 1.5340 3.9180
35 C 0.2097 0.8388 4.4721
36 O 1.4931 1.2367 4.4890
37 C 2.5108 0.5732 5.2528
38 C 3.0650 -0.6455 4.5509
39 C -0.1749 -0.4835 5.0942
40 H 2.1360 0.3435 6.2532
41 H 3.2848 1.3309 5.3660
42 H 2.3042 -1.4154 4.4227
43 H 3.8819 -1.0697 5.1375
44 H 3.4487 -0.3863 3.5612
45 H -0.1568 -1.2383 4.3071
46 H -1.1938 -0.3962 5.4627
47 H 0.4755 -0.8098 5.9003
48 O -7.1658 -0.4235 -5.1735
49 C -6.3372 -0.2592 -4.3190
50 O -6.2783 0.9404 -3.7052
51 C -5.4173 1.1942 -2.5848
52 C -4.0060 1.5344 -3.0057
53 C -5.3359 -1.3332 -3.9627
54 H -5.4415 0.3543 -1.8898
55 H -5.8801 2.0401 -2.0789
56 H -3.5303 0.7024 -3.5255
57 H -3.3992 1.7690 -2.1299
58 H -4.0055 2.3939 -3.6766
59 H -4.5027 -1.2644 -4.6628
60 H -5.8179 -2.2971 -4.1028
61 H -4.9397 -1.2730 -2.9537

Atoms 1-3, force components in eV/Å:
-0.34 0.37 -0.04
0.08 0.33 0.26
-0.08 -0.15 -0.12

---

No. 2
# C17H37N2O10S2

3 unconnected molecules or ions with the total composition C17H37N2O10S2 (wB97M-V/def2-TZVPD, the Open Molecules 2025 dataset).

* E_LUMO: 2.41 eV
* net charge: -1
* gap between HOMO and LUMO: 6.7 eV
* E_tot: -2328.28224 Eh
* HOMO: -4.256 eV

Cartesian coordinates (Å):
1 C 1.9298 0.6706 -3.2640
2 C 0.8874 0.2066 -2.2482
3 C 1.1211 0.7618 -0.8263
4 N -0.1357 1.1200 -0.1815
5 C -0.1146 0.9806 1.2718
6 N 0.2014 -0.3760 1.7150
7 C -0.5812 -1.3897 1.0094
8 C 0.0109 -2.7864 1.2794
9 C 1.1410 -3.1460 0.3048
10 C 2.5393 -2.9634 0.8592
11 O 2.6834 -3.5825 2.1600
12 C 3.4405 -2.8073 2.9958
13 C 2.6278 -1.9604 3.9171
14 O 4.6326 -2.8248 2.9469
15 C -1.4263 1.5199 1.9039
16 O -2.1684 2.2270 1.1964
17 O -1.5470 1.2212 3.1112
18 H 2.8942 0.1931 -3.0855
19 H 2.0615 1.7505 -3.1875
20 H 1.6079 0.4393 -4.2798
~~~
**The article goes on:**

A central pillar of veganism is compassion – not just for every sentient animal but every human being. Some extreme vegans swing too far in compassionate action towards animals at the expense of having empathy for their fellow human being. Attacking farmers and calling them “murderers” does not help build bridges between different ways of thinking, which would allow us all to move forward together. In fact, I would suggest that this approach just creates more division. Guilt and shame are poor change agents for behaviour. We need to connect more deeply with each other, our animal friends (here with us, not for us), and the Earth for the sake of the planet. As the ancient African proverb states, “You can travel far alone, but further together.”

If you are comfortable taking it further, then we can say that it’s also about connecting with the life force that connects everything. That force has been given many different names and forms depending on the culture and the time you have been raised in. That beautiful loving force has been there since the beginning, is with us now, and will be with us in the future. All form and matter on Earth including us is from and contains this wondrous energy. I call this stream of consciousness God, but I’m sure that the particular label and human framework used doesn’t alter this powerful loving force.

None of us has the complete solution–the conversation on how to save us and our planet does not belong to one religion, or one ideology, or one group of people – we must ALL come together and work to be better and move towards compassionate living and farming methods that align with EARTH CARE. We must be expansive with WELLNESS.  Sustainability has to become more than a buzz word; it has to become an authentic part of all action we take.